Inventory of Ebenezer Wells (1730-1783)

(Quantum chemistry results that have nothing to do with the piece)
<<<
# C22H36AlBF6IN3O21S2

A structure of composition C22H36AlBF6IN3O21S2 (ωB97M-V/def2-TZVPD, the Open Molecules 2025 dataset).

```
! RIJCOSX wB97M-V def2-TZVPD def2/J DEFGRID3
* xyz 0 1
C -0.960 0.532 -0.653
O -1.338 -0.447 0.285
C -2.008 -1.525 -0.304
O -1.852 -2.752 0.390
C -0.762 -2.816 1.207
O -0.816 -2.392 2.270
O 0.395 -3.445 0.848
I 1.200 -2.786 -0.862
H -0.995 1.499 -0.139
H 0.073 0.392 -1.022
H -1.628 0.596 -1.532
H -3.085 -1.334 -0.354
H -1.690 -1.663 -1.358
B -4.976 -0.107 -2.873
F -4.505 -0.204 -1.596
F -6.196 0.532 -2.909
F -3.996 0.717 -3.648
F -5.051 -1.347 -3.480
N -2.847 3.608 -3.250
H -3.562 4.339 -3.195
H -2.369 3.665 -4.151
H -2.168 3.740 -2.493
H -3.294 2.687 -3.147
C 0.927 -0.915 4.278
C -0.088 -0.192 5.120
O 0.533 -0.167 6.406
C 1.871 -0.284 6.220
O 2.688 -0.133 7.069
O 2.161 -0.595 4.924
H 0.930 -0.570 3.246
H 0.791 -1.996 4.290
H -0.250 0.837 4.786
H -1.046 -0.706 5.159
N -2.867 0.243 9.542
S -3.048 -1.178 8.869
O -2.570 -1.303 7.527
O -4.231 -1.905 9.207
F -1.937 -1.972 9.688
S -3.790 1.345 8.905
O -3.404 2.672 9.275
O -5.197 1.092 8.880
F -3.395 1.315 7.354
C 4.023 -1.074 -4.449
C 2.775 -1.382 -4.092
C 1.780 -1.906 -5.079
O 0.658 -2.200 -4.701
C 2.200 -2.045 -6.468
C 3.450 -1.732 -6.833
C 4.453 -1.236 -5.838
O 5.579 -0.983 -6.211
O 3.868 -1.846 -8.091
O 2.351 -1.230 -2.822
H 4.752 -0.697 -3.743
H 1.468 -2.408 -7.175
H 4.803 -1.562 -8.089
H 1.408 -1.509 -2.814
C -5.624 2.803 0.731
C -4.391 2.038 1.142
O -3.504 1.792 0.349
C -4.306 1.590 2.575
H -5.555 3.062 -0.326
H -6.512 2.188 0.883
H -5.705 3.722 1.314
H -5.137 0.923 2.808
H -4.329 2.455 3.239
H -3.372 1.052 2.731
Al -2.835 0.357 -5.118
C -9.547 0.512 -3.572
C -10.429 1.241 -4.492
N -11.110 1.804 -5.203
H -9.546 0.997 -2.598
H -9.895 -0.513 -3.458
H -8.532 0.501 -3.964
C 10.425 -0.251 -2.238
O 10.367 -0.894 -3.502
C 9.586 -2.080 -3.486
C 8.188 -1.841 -4.025
O 7.448 -0.953 -3.192
C 7.446 0.381 -3.677
H 10.763 0.772 -2.397
H 9.451 -0.225 -1.746
H 11.145 -0.763 -1.591
H 9.546 -2.502 -2.477
H 10.090 -2.805 -4.132
H 7.650 -2.793 -4.036
H 8.225 -1.466 -5.052
H 6.716 0.477 -4.488
H 8.429 0.689 -4.037
H 7.153 1.040 -2.860
C -0.399 2.877 10.777
O -0.163 3.126 9.605
O -1.151 1.967 11.189
O 0.076 3.486 11.761
*
```

# C5H11NO8V

A structure of composition C5H11NO8V (ωB97M-V/def2-TZVPD, the Open Molecules 2025 dataset).

```
! RIJCOSX wB97M-V def2-TZVPD def2/J DEFGRID3
* xyz -2 2
O -0.825 2.056 -0.061
V -0.430 0.861 -1.025
O -1.328 0.882 -2.293
O 1.716 1.390 -1.352
C 2.517 2.076 -2.314
C 4.084 1.830 -2.320
O 4.575 0.514 -2.572
H 2.306 3.139 -2.433
H 2.162 1.788 -3.303
H 4.361 1.967 -1.275
H 4.618 2.606 -2.869
O 0.233 -1.141 -0.115
C -0.173 -1.226 1.287
C 0.819 -1.556 2.469
O 2.207 -1.180 2.561
H -0.974 -1.928 1.517
H -0.713 -0.299 1.478
H 0.920 -2.639 2.536
H 0.199 -1.348 3.341
C -3.889 -1.039 1.549
N -3.540 -1.245 0.102
O -3.988 -2.239 -0.446
O -2.880 -0.347 -0.408
H -3.253 -1.604 2.230
H -4.944 -1.262 1.710
H -3.780 -0.056 2.007
*
```

# Cl4O16
>>>


Mary Gene Devlin, Bette Schmitt
Topic/Subject Area
Home Life, Household Items, Furniture; Commerce, Business, Trade, Consumerism; Death, Cemeteries, Monuments, Memorials
Historical Era
Revolutionary America, 1763–1783, Colonial settlement, 1620–1762
Grade Level
Elementary (K–5), Middle School (6–8)
Creation Date
Last Revision Date

About This Lesson

Summary and Objective

Unit Central Questions:

== Calculated molecules, kept here for reference ==
/*
Computed, not measured: 9 unconnected molecules or ions with the total composition C81H171N9O9 in a non-equilibrium geometry, with wB97M-V/def2-TZVPD.

**Total charge**: 0
**E**: -118591.834 eV
**Spin multiplicity**: 1
**Structure (SMILES)**: CC1(C)CCCC(C)(C)N1O.CC1(C)CCCC(C)(C)N1O.CC1(C)CCCC(C)(C)N1O.CC1(C)CCCC(C)(C)N1O.CC1(C)CCCC(C)(C)N1O.CC1(C)CCCC(C)(C)N1O.CC1(C)CCCC(C)(C)N1O.CC1(C)CCCC(C)(C)N1O.CC1(C)CCCC(C)(C)N1O
**HOMO**: -7.94 eV
**F_max**: 6.609 eV Å⁻¹
**Relative energy (zero: lowest compared OMol25 entry of this formula, charge and spin)**: 8.6048 eV

XYZ file:
```
270
Properties=species:S:1:pos:R:3:forces:R:3
C 5.9090 -1.6818 -2.1272 0.4 0.5 0.1
C 5.7851 -0.7968 -0.8712 -0.5 1.4 0.6
C 4.7920 0.3657 -1.1660 0.5 0.5 -0.4
C 4.2473 1.2122 -0.0235 0.3 -1.3 1.7
C 3.7352 0.1917 1.0363 -0.1 1.1 -1.6
C 4.7691 -0.9306 1.3682 -0.6 1.5 3.3
N 5.1916 -1.6014 0.2005 -1.2 1.1 -1.8
O 5.9622 -2.7028 0.4628 0.9 -1.2 0.6
C 5.9289 -0.3266 2.2932 -0.6 0.0 0.1
C 3.8863 -1.8536 2.2649 0.4 -0.6 -0.5
C 7.1246 -0.0754 -0.4904 -0.2 -1.1 -0.7
H 6.1248 -1.0438 -2.9842 0.2 0.1 0.0
H 4.9981 -2.2214 -2.3863 -0.2 0.1 0.4
H 6.7155 -2.4094 -2.0361 0.0 0.1 0.1
H 5.3652 1.1200 -1.7050 -0.1 -0.4 -1.0
H 3.9740 -0.0667 -1.7422 -0.1 0.3 -0.2
H 3.4894 1.9133 -0.3730 -0.3 -0.3 -0.1
H 4.9880 1.8542 0.4532 0.5 0.0 -0.2
H 2.8460 -0.1596 0.5127 -0.1 -1.0 0.2
H 3.3130 0.6739 1.9179 0.5 0.0 0.4
H 5.5545 -0.1101 3.2937 -0.5 -0.3 0.1
H 6.7556 -1.0168 2.4613 0.0 -0.2 -0.4
H 6.3413 0.6433 2.0152 -0.1 -0.2 -0.6
H 4.3249 -2.7006 2.7923 0.8 0.2 -0.1
H 3.3834 -1.2759 3.0405 -0.2 0.1 -0.3
H 3.1982 -2.3350 1.5700 -0.6 0.2 0.1
H 6.9886 0.8520 0.0661 -0.1 -0.3 0.1
H 7.6039 0.2009 -1.4295 0.2 0.0 0.0
H 7.7572 -0.7912 0.0345 0.2 0.3 0.1
H 5.3689 -3.4200 0.2276 0.2 -0.3 0.1
C 6.9697 4.1283 3.7610 -0.8 0.1 -0.1
C 6.1630 5.1995 2.9959 0.5 0.5 -1.6
C 6.5189 4.9614 1.4488 0.0 0.3 0.1
C 5.6648 5.6213 0.3667 -0.5 1.2 1.7
C 4.2016 5.2639 0.6751 0.8 0.1 0.3
C 3.6895 5.5155 2.1726 1.5 -0.1 -1.2
N 4.6987 4.9922 3.1363 0.6 -1.1 -0.3
O 4.2778 5.2422 4.4715 0.1 0.7 -0.1
C 3.3532 7.0455 2.3596 -0.3 -1.9 -0.2
C 2.4610 4.5914 2.3113 0.3 0.6 0.2
C 6.6093 6.6264 3.4285 -0.4 0.1 -1.6
H 8.0428 4.1002 3.5716 0.0 0.7 -0.1
H 6.6374 3.1466 3.4233 -0.4 -0.1 0.4
H 6.8043 4.3132 4.8224 0.1 -0.5 0.1
H 7.5419 5.2955 1.2755 0.2 -0.1 0.3
H 6.4819 3.9088 1.1681 0.1 -0.4 0.7
H 6.0056 5.3229 -0.6246 -0.2 -0.2 0.0
H 5.8199 6.6989 0.4199 -0.1 0.3 -0.1
H 4.2149 4.2087 0.4020 -0.8 -0.3 0.4
H 3.5174 5.7860 0.0061 -0.1 0.0 0.0
H 4.1454 7.7311 2.0587 0.0 -0.2 0.2
H 2.5019 7.1994 1.6964 -0.2 0.4 0.2
H 3.0802 7.1248 3.4118 -0.1 0.6 -0.1
H 2.7945 3.5814 2.5494 0.1 0.0 -0.1
H 1.8143 4.9246 3.1230 -0.2 0.0 -0.1
H 1.9377 4.5296 1.3571 -0.3 0.3 0.2
H 6.5126 6.8816 4.4838 0.1 -0.3 -0.1
H 6.0271 7.3171 2.8185 -0.5 0.2 0.4
H 7.5799 6.8814 3.0030 0.6 -0.5 0.6
H 4.1291 4.3876 4.8827 0.0 -0.3 -0.2
C -3.7607 -2.7899 5.5679 -0.2 0.0 2.1
C -4.3698 -2.3242 4.2906 1.0 -2.2 -1.3
C -5.0186 -3.6838 3.7281 0.9 0.4 0.6
C -6.0583 -3.5154 2.7040 -1.3 -0.2 -2.2
*/

What do primary and secondary sources teach us about the characteristics of “everyday life” of individuals living in Deerfield at the four turns of the centuries? What do these characteristics reveal about changes in the town since its beginning as an English settlement?

Key Content Ideas Taught in this Lesson and Teacher Background

A probate inventory is a listing of real estate and personal property of an individual at the time of his or her death. These lists provide useful clues when trying to understand and reconstruct the life of the individual. By comparing inventories from different time periods in the same place, we can learn more about personal possessions and the economic development of a society or a particular family.

For more information, read: The Inventory of Ebenezer Wells

Intended Learning Outcomes


Students will understand that:

  1. Farming was still the backbone of the economy at the beginning of this period. 
  2. The possessions of Ebenezer Wells (1730-1783) show that he died a wealthy man. 
  3. A comparison of inventories from 1680-1720 and 1780-1820 shows significant increases in wealth and changes in the kinds and number of possessions owned by individuals.
  1. Students will be able to use primary sources such as probate inventories to extract information and make logical inferences.

Materials & Resources

Primary and Secondary Sources:
  1. Inventory of Ebenezer Wells (1730-1783)
  2. Inventories of Robert Alexander (d. 1690) and Jonathan Wells (1659-1739)
  1. Student notebooks
  2. Chart paper
  3. Markers

The text is interrupted by quantum chemistry results:
<<<
268
Properties=species:S:1:pos:R:3:forces:R:3:mulliken_spin:R:1 method="wB97M-V/def2-TZVPD" charge=+1 s2=0.75 total_energy_ev=-140423.3066 orbital_gap_ev="6.6707 / 2.5569" lumo_ev="-2.540 / -6.654" e_homo_ev="-9.2 / -9.2" spin_multiplicity=2
C -4.547 1.284 0.324 -1.2 -0.7 0.2 0.000
C -3.460 1.843 -0.527 2.0 0.2 0.3 0.000
O -3.994 2.045 -1.804 -1.7 0.2 -0.9 0.000
C -5.263 1.559 -1.824 -1.9 -3.8 -1.7 0.000
O -5.925 1.274 -2.821 1.8 2.0 2.1 0.000
O -5.631 1.012 -0.598 1.1 2.0 -1.2 0.000
H -4.887 1.976 1.094 0.0 -0.4 0.2 0.000
H -4.258 0.277 0.627 0.0 0.4 0.9 0.000
H -2.677 1.086 -0.577 0.2 0.0 -0.4 0.000
H -2.983 2.774 -0.221 -0.4 0.1 0.4 0.000
C 4.204 6.991 0.041 2.9 1.0 0.1 0.000
C 3.651 8.226 -0.591 0.5 -0.7 0.1 0.000
O 2.278 7.995 -0.293 -1.4 0.8 -0.6 0.000
C 2.027 6.680 -0.102 -2.6 0.2 0.4 0.000
O 0.894 6.195 0.022 3.4 1.1 -0.5 0.000
O 3.198 6.058 -0.032 -1.3 -2.1 0.3 0.000
H 4.498 7.262 1.055 -0.1 -0.7 0.3 0.000
H 5.063 6.618 -0.517 0.1 -0.1 0.3 0.000
H 3.919 8.182 -1.647 -0.8 0.5 -0.3 0.000
H 4.055 9.117 -0.111 -0.5 0.1 -0.2 0.000
C 0.981 -1.122 -6.364 -0.6 1.4 0.5 -0.001
C 2.241 -0.356 -6.151 0.3 0.4 0.0 0.005
O 3.197 -1.303 -6.587 0.5 -0.8 -0.4 0.000
C 2.622 -2.546 -6.423 6.3 -3.8 -1.2 0.000
O 3.194 -3.642 -6.551 -1.2 3.7 0.1 0.000
O 1.441 -2.427 -6.041 -5.6 0.2 0.8 0.000
H 0.648 -0.978 -7.391 -0.1 -0.8 -0.1 0.000
H 0.203 -0.759 -5.692 0.0 -0.7 0.0 0.002
H 2.391 -0.157 -5.090 0.2 0.2 0.2 -0.005
H 2.304 0.555 -6.746 0.1 0.0 0.0 -0.004
C 2.939 2.517 3.110 -1.9 0.2 0.9 0.000
C 2.657 4.026 3.287 -1.0 -0.8 -0.5 0.000
O 3.601 4.405 4.271 0.6 1.0 -1.0 0.000
C 4.137 3.316 4.830 -0.3 -0.5 0.9 0.000
O 4.960 3.360 5.688 -0.2 -0.4 -0.3 0.000
O 3.482 2.207 4.352 2.5 0.2 1.5 0.000
H 3.615 2.293 2.284 0.0 -0.1 0.1 0.000
H 2.040 1.902 3.159 0.2 0.4 -1.2 0.000
H 1.688 4.281 3.716 -0.3 -0.4 -0.1 0.000
H 2.695 4.509 2.311 0.7 0.6 0.3 0.000
C -2.328 -0.084 7.679 0.2 -0.2 -1.2 0.000
C -0.825 0.282 7.799 0.4 -0.3 0.4 0.000
C -0.598 0.432 9.311 0.0 0.0 0.3 0.000
C 0.854 0.599 9.791 -1.7 -0.7 -1.1 0.000
C 1.594 -0.689 9.332 -0.1 2.0 0.0 0.000
C 1.510 -0.927 7.779 -0.1 -2.0 0.7 0.000
N 0.114 -0.790 7.321 -1.3 -0.8 1.2 0.000
O -0.007 -1.071 5.952 -0.2 0.1 0.2 0.000
C 2.433 0.015 7.035 0.8 0.4 0.8 0.000
C 1.994 -2.481 7.621 -1.5 1.5 -0.7 0.000
C -0.592 1.612 7.047 1.0 -0.3 -0.2 0.000
H -2.589 -0.480 6.697 0.4 -0.2 -0.3 0.000
H -2.915 0.835 7.698 0.0 0.1 0.6 0.000
H -2.697 -0.823 8.390 0.2 0.2 0.2 0.000
H -1.275 1.218 9.649 0.2 0.4 0.0 0.000
H -0.979 -0.440 9.843 -0.1 -0.4 -0.3 0.000
H 0.739 0.608 10.875 0.7 0.4 0.0 0.000
H 1.195 1.540 9.360 0.7 0.0 0.4 0.000
H 1.173 -1.465 9.972 0.0 -0.5 -0.6 0.000
H 2.623 -0.530 9.654 0.3 -0.5 -0.4 0.000
H 3.442 -0.387 7.133 0.2 0.3 -0.1 0.000
H 2.274 0.251 5.983 -0.3 -0.5 -0.1 0.000
H 2.383 0.973 7.553 0.3 0.2 -0.1 0.000
H 1.295 -3.110 8.172 0.3 0.1 0.5 0.000
H 1.835 -2.829 6.601 0.3 0.3 -0.3 0.000
H 3.040 -2.620 7.895 -0.2 0.1 0.2 0.000
H -0.932 1.518 6.016 -0.6 0.2 0.0 0.000
H 0.474 1.804 6.919 0.2 -0.1 0.2 0.000
>>>

Teaching Plan

In Preparation for Teaching
  1. Make copies of inventories.
  2. Read  The Inventory of Ebenezer Wells.

Activity 1: Ebenezer Wells’s Inventory

  1. Explain that during this period a probate inventory was made when the head of a household died. Three appraisers would list the possessions of the deceased. These lists were used when the wills were probated, and to settle debts and credits. (Clarify the meanings of any of these words with students. Be certain that they understand the difference between an inventory and a will.)
  2. Pass out copies of Ebenezer Wells’s inventory.
  3. Ask students if there is anything they notice that they want to share, or anything they don’t understand. Clarify words or expressions. students should know that this inventory was taken at Wells’s death, in 1783.
  4. Read the introductory section aloud and discuss terms that need clarifying. Note:
    1. “L” means pounds sterling, “Sh” means shillings (20 shillings=1 pound), and “d” means pence (12 pence=1 shilling).
    2. The meaning of “real estate”.
  5. Discuss the many plots of land owned by Ebenezer Wells and ask if students can identify any places in the town where the plots could be found. (Optional: Use maps distributed in the lessons “The Original Layout of the Town of Deerfield” and “Changes in Deerfield, Massachusetts Shown in Maps (1780-1820)” to locate Ebenezer Wells’s land.)
  6. Have students categorize the inventory. (For instance: household goods, items used outdoors, tools, etc.)
  7. Students pair off. Assign one category to each pair and have them make a list of all of the items in it.
  8. When the lists are completed, have students copy them on chart paper to be shared with the rest of the class.
  9. Post the lists and discuss.
  10. Give students time to copy the lists into their notebooks.

Activity 2: Comparing Inventories

  1. Distribute copies of the inventory of Robert Alexander, who died in 1690.
  2. Instruct students to read it and notice the differences between this inventory and the one from Ebenezer Wells.
  3. Discuss the value of the estate and the difference in number of possessions listed.
  4. Pass out individual copies of the inventory of Jonathan Wells (1659-1739).
  5. Allow students to pair off and list by category his possessions.
  6. Instruct students to find differences between Jonathan Wells’s inventory and that of Ebenezer Wells, made 44 years later, and to list these differences in their notebooks.
Homework Assignments:

For Activity 1: Have students write a summary of their learning entitled “The Wealth of Ebenezer Wells at his Death in 1783.”

For Activity 2: Ask students to write a one-page paper titled “How Inventories Show the Differences in Wealth and Possessions from 1680-1720 to 1780-1820.”

Follow-up to Activities:

For Activity 1:

  1. Place students in pairs to share and discuss their summaries, and to note in their notebooks anything they may want to add or change in their summaries.
  2. Place students in different pairs and repeat number 1 above.
  3. Instruct them to rewrite their summaries, being sure to include any new information, and pass in final copies.

Use the summaries of Ebenezer Wells’s inventory (follow-up to Activity 1, number 3), and the paper “How Inventories Show the Differences in Wealth and Possessions from 1680-1720 to 1780-1820” (homework assignment from Activity 2).